Now give back everything underneath without additions.

Run a
Computed, not measured: a structure of composition C4H13N2, with ωB97M-V/def2-TZVPD.

XYZ file:
```
19
Properties=species:S:1:pos:R:3:lowdin_charge:R:1
N -0.44737 -2.15718 -1.09458 0.19
C 0.34857 0.68358 -1.06700 -0.17
C -1.11157 0.97515 -1.44285 -0.09
C 0.37267 -0.21355 0.16571 -0.15
N -0.20718 0.15385 1.40293 -0.05
C 0.83455 0.79570 2.21482 -0.06
H 0.71432 0.16363 -1.94828 0.12
H 0.22178 -2.84012 -1.46039 0.09
H -1.07824 -2.59505 -0.41892 0.08
H 0.95214 1.55747 -0.80881 0.15
H -1.66718 0.05902 -1.64490 0.07
H -1.65777 1.41298 -0.59902 0.08
H -1.30875 1.64991 -2.27324 0.09
H 1.38889 -0.63522 0.27331 0.15
H -0.16808 -1.23319 -0.36251 0.04
H -0.55430 -0.70273 1.82995 0.15
H 1.30006 1.61708 1.67386 0.09
H 1.69765 0.14846 2.43290 0.10
H 0.36978 1.16020 3.12703 0.11
```

Values from the calculation:
* HOMO-LUMO gap: 6.857 eV
* net charge: +1
* 2S+1: 1

***

Run b
Computed, not measured: a cluster of 2 separate species, C4H13N2 in total, with ωB97M-V/def2-TZVPD.

XYZ file:
```
19
Properties=species:S:1:pos:R:3:lowdin_charge:R:1
C -2.59709 0.20623 0.41945 -0.10
C -1.73669 -0.46560 -1.64838 0.01
N -1.47696 -0.11395 -0.46597 -0.13
H -2.65082 -0.54766 1.20665 0.09
H -3.55087 0.21305 -0.10841 0.08
H -2.43165 1.18160 0.86476 0.08
H -0.93476 -0.70248 -2.33628 0.08
H -2.74896 -0.53236 -2.03903 0.09
C 2.29235 0.49862 -0.62011 -0.07
C 1.88614 0.43578 0.83425 -0.20
N 0.82783 -0.62745 1.02047 0.15
H 3.03586 1.27652 -0.75306 0.09
H 2.73657 -0.44360 -0.94878 0.09
H 1.44400 0.74975 -1.25197 0.08
H 2.71945 0.16122 1.48011 0.13
H 1.46605 1.37224 1.19923 0.13
H -0.05617 -0.41972 0.43262 0.09
H 0.56440 -0.72193 1.99857 0.16
H 1.21130 -1.52025 0.71589 0.16
```

Values from the calculation:
* HOMO-LUMO gap: 11.492 eV
* net charge: +1
* 2S+1: 1

***

Run c
Computed, not measured: a cluster of 3 separate species, C4H13N2 in total, with ωB97M-V/def2-TZVPD.

XYZ file:
```
19
Properties=species:S:1:pos:R:3:lowdin_charge:R:1
C 1.85214 3.09050 1.06007 -0.10
N -1.94276 -0.44764 -0.28059 0.06
C -2.75295 -1.44445 0.47743 -0.14
C 1.75051 2.68156 -0.21997 -0.09
N 0.59372 -1.12713 0.08389 0.22
C 0.87445 -1.98765 -1.00418 -0.12
H 1.41533 2.55983 1.96317 0.05
H 2.71284 3.66183 1.47638 0.06
H -2.40390 -0.24565 -1.20702 0.13
H -3.74787 -1.05990 0.75180 0.08
H -3.02298 -2.32155 -0.15321 0.10
H -2.30227 -1.68703 1.56380 0.14
H 1.17386 1.76436 -0.47415 0.02
H 2.08306 3.41938 -0.98402 0.06
H -0.96371 -0.92695 -0.25990 0.02
H 1.07656 -1.36380 0.92160 0.10
H 0.43529 -3.02128 -1.00655 0.15
H 0.72643 -1.48036 -2.03862 0.14
H 1.91582 -2.31524 -1.05642 0.11
```

Values from the calculation:
* HOMO-LUMO gap: 3.269 eV
* net charge: +1
* 2S+1: 1

***

What should be chosen as the least stable of them? Choose run c.

***

Run a
Computed, not measured: the ion C4H13N2 with charge +1, with ωB97M-V/def2-TZVPD.

XYZ file:
```
19
Properties=species:S:1:pos:R:3:lowdin_charge:R:1
C -0.19704 2.31044 -0.78283 -0.08
N -0.08582 0.86109 -1.05035 -0.14
C -1.12201 0.10485 -0.37223 -0.21
C -0.56717 -0.32760 0.98248 -0.10
N 0.88317 -0.73409 0.77144 -0.01
C 1.12420 -2.14277 0.33104 0.02
H -1.03054 2.73639 -1.35333 0.10
H 0.69118 2.85563 -1.06699 0.08
H -0.40202 2.47792 0.26884 0.08
H -0.23849 0.78205 -2.05446 0.13
H -1.40384 -0.76500 -0.96500 0.13
H -2.05865 0.62705 -0.15366 0.13
H -1.06688 -1.17250 1.45462 0.13
H -0.55204 0.40923 1.77751 0.13
H 1.10879 -0.10764 -0.02293 0.13
H 1.44201 -0.49646 1.58407 0.17
H 2.06437 -2.48265 0.75124 0.11
H 1.10987 -2.15931 -0.75516 0.10
H 0.30088 -2.77662 0.65568 0.10
```

Values from the calculation:
* SMILES: CNCC[NH2+]C
* HOMO-LUMO gap: 11.164 eV
* net charge: +1
* 2S+1: 1

***

Run b
Computed, not measured: the ion C4H13N2 with charge +1, with ωB97M-V/def2-TZVPD.

XYZ file:
```
19
Properties=species:S:1:pos:R:3:lowdin_charge:R:1
C 1.67529 1.81646 0.54104 0.03
N 0.68960 0.71935 0.99488 0.04
C 0.00211 -0.05312 -0.27036 -0.24
C 0.80703 -1.26477 -0.78688 -0.03
C -1.39720 -0.57071 0.21558 -0.27
N -2.39361 -0.53084 -0.86262 0.00
H 2.45633 1.88005 1.35055 0.12

Run a
Computed, not measured: a structure of composition C4H13N2, with ωB97M-V/def2-TZVPD.

XYZ file:
```
19
Properties=species:S:1:pos:R:3:lowdin_charge:R:1
N -0.44737 -2.15718 -1.09458 0.19
C 0.34857 0.68358 -1.06700 -0.17
C -1.11157 0.97515 -1.44285 -0.09
C 0.37267 -0.21355 0.16571 -0.15
N -0.20718 0.15385 1.40293 -0.05
C 0.83455 0.79570 2.21482 -0.06
H 0.71432 0.16363 -1.94828 0.12
H 0.22178 -2.84012 -1.46039 0.09
H -1.07824 -2.59505 -0.41892 0.08
H 0.95214 1.55747 -0.80881 0.15
H -1.66718 0.05902 -1.64490 0.07
H -1.65777 1.41298 -0.59902 0.08
H -1.30875 1.64991 -2.27324 0.09
H 1.38889 -0.63522 0.27331 0.15
H -0.16808 -1.23319 -0.36251 0.04
H -0.55430 -0.70273 1.82995 0.15
H 1.30006 1.61708 1.67386 0.09
H 1.69765 0.14846 2.43290 0.10
H 0.36978 1.16020 3.12703 0.11
```

Values from the calculation:
* HOMO-LUMO gap: 6.857 eV
* net charge: +1
* 2S+1: 1

***

Run b
Computed, not measured: a cluster of 2 separate species, C4H13N2 in total, with ωB97M-V/def2-TZVPD.

XYZ file:
```
19
Properties=species:S:1:pos:R:3:lowdin_charge:R:1
C -2.59709 0.20623 0.41945 -0.10
C -1.73669 -0.46560 -1.64838 0.01
N -1.47696 -0.11395 -0.46597 -0.13
H -2.65082 -0.54766 1.20665 0.09
H -3.55087 0.21305 -0.10841 0.08
H -2.43165 1.18160 0.86476 0.08
H -0.93476 -0.70248 -2.33628 0.08
H -2.74896 -0.53236 -2.03903 0.09
C 2.29235 0.49862 -0.62011 -0.07
C 1.88614 0.43578 0.83425 -0.20
N 0.82783 -0.62745 1.02047 0.15
H 3.03586 1.27652 -0.75306 0.09
H 2.73657 -0.44360 -0.94878 0.09
H 1.44400 0.74975 -1.25197 0.08
H 2.71945 0.16122 1.48011 0.13
H 1.46605 1.37224 1.19923 0.13
H -0.05617 -0.41972 0.43262 0.09
H 0.56440 -0.72193 1.99857 0.16
H 1.21130 -1.52025 0.71589 0.16
```

Values from the calculation:
* HOMO-LUMO gap: 11.492 eV
* net charge: +1
* 2S+1: 1

***

Run c
Computed, not measured: a cluster of 3 separate species, C4H13N2 in total, with ωB97M-V/def2-TZVPD.

XYZ file:
```
19
Properties=species:S:1:pos:R:3:lowdin_charge:R:1
C 1.85214 3.09050 1.06007 -0.10
N -1.94276 -0.44764 -0.28059 0.06
C -2.75295 -1.44445 0.47743 -0.14
C 1.75051 2.68156 -0.21997 -0.09
N 0.59372 -1.12713 0.08389 0.22
C 0.87445 -1.98765 -1.00418 -0.12
H 1.41533 2.55983 1.96317 0.05
H 2.71284 3.66183 1.47638 0.06
H -2.40390 -0.24565 -1.20702 0.13
H -3.74787 -1.05990 0.75180 0.08
H -3.02298 -2.32155 -0.15321 0.10
H -2.30227 -1.68703 1.56380 0.14
H 1.17386 1.76436 -0.47415 0.02
H 2.08306 3.41938 -0.98402 0.06
H -0.96371 -0.92695 -0.25990 0.02
H 1.07656 -1.36380 0.92160 0.10
H 0.43529 -3.02128 -1.00655 0.15
H 0.72643 -1.48036 -2.03862 0.14
H 1.91582 -2.31524 -1.05642 0.11
```

Values from the calculation:
* HOMO-LUMO gap: 3.269 eV
* net charge: +1
* 2S+1: 1

***

What should be chosen as the least stable of them? Choose run c.

***

Run a
Computed, not measured: the ion C4H13N2 with charge +1, with ωB97M-V/def2-TZVPD.

XYZ file:
```
19
Properties=species:S:1:pos:R:3:lowdin_charge:R:1
C -0.19704 2.31044 -0.78283 -0.08
N -0.08582 0.86109 -1.05035 -0.14
C -1.12201 0.10485 -0.37223 -0.21
C -0.56717 -0.32760 0.98248 -0.10
N 0.88317 -0.73409 0.77144 -0.01
C 1.12420 -2.14277 0.33104 0.02
H -1.03054 2.73639 -1.35333 0.10
H 0.69118 2.85563 -1.06699 0.08
H -0.40202 2.47792 0.26884 0.08
H -0.23849 0.78205 -2.05446 0.13
H -1.40384 -0.76500 -0.96500 0.13
H -2.05865 0.62705 -0.15366 0.13
H -1.06688 -1.17250 1.45462 0.13
H -0.55204 0.40923 1.77751 0.13
H 1.10879 -0.10764 -0.02293 0.13
H 1.44201 -0.49646 1.58407 0.17
H 2.06437 -2.48265 0.75124 0.11
H 1.10987 -2.15931 -0.75516 0.10
H 0.30088 -2.77662 0.65568 0.10
```

Values from the calculation:
* SMILES: CNCC[NH2+]C
* HOMO-LUMO gap: 11.164 eV
* net charge: +1
* 2S+1: 1

***

Run b
Computed, not measured: the ion C4H13N2 with charge +1, with ωB97M-V/def2-TZVPD.

XYZ file:
```
19
Properties=species:S:1:pos:R:3:lowdin_charge:R:1
C 1.67529 1.81646 0.54104 0.03
N 0.68960 0.71935 0.99488 0.04
C 0.00211 -0.05312 -0.27036 -0.24
C 0.80703 -1.26477 -0.78688 -0.03
C -1.39720 -0.57071 0.21558 -0.27
N -2.39361 -0.53084 -0.86262 0.00
H 2.45633 1.88005 1.35055 0.12